Dr Justin Russell
Dr Justin Russell
Associate Professor (Teaching Focused)
Civil engineering Degree Apprenticeship Programme Lead
J dot Russell dot 3 at warwick dot ac dot uk
MEng in Civil Engineering, 2010, University of Nottingham
PhD in Civil Engineering, 2015, University of Nottingham
Research Interests
Prospective PhD Students - Currently I have no openings for research students
- Progressive collapse of reinforced concrete structures
- Flat slab construction
- Dynamics of lightweight bridges
- Fibre Reinforced Polymer (FRP) Composites
== Calculated molecules from another source follow ==
=====
Here is a 10-piece molecular cluster, C9H38O10 overall in a non-equilibrium geometry from the OMol25 dataset. Energies are from ωB97M-V/def2-TZVPD.

2S+1: 1
Molar mass, g mol⁻¹: 306.39
Structure (SMILES): CC(C)O.CC(C)O.CO.CO.CO.O.O.O.O.O
Energy above the lowest of the compared OMol25 structures with the same formula, charge and spin, kJ/mol: 298.3
Largest force on an atom, eV/Å: 3.23

Each line ends with the Löwdin charge.
Geometry (Å):
C1 9.72 6.37 -41.62  -0.06
C2 9.87 5.11 -42.45  -0.48
C3 8.75 4.97 -43.47  -0.06
O1 11.15 5.09 -43.10  -0.06
H1 9.97 7.27 -42.17  0.07
H2 10.48 6.30 -40.83  0.06
H3 8.75 6.41 -41.14  0.08
H4 9.80 4.22 -41.81  0.13
H5 7.76 5.11 -43.04  0.08
H6 8.75 3.94 -43.87  0.08
H7 8.90 5.65 -44.32  0.08
H8 11.05 5.52 -43.96  0.08
C4 8.47 9.56 -39.65  -0.05
C5 9.40 9.98 -40.75  -0.43
C6 9.22 11.39 -41.19  -0.04
O2 10.77 9.90 -40.25  -0.12
H9 7.41 9.65 -39.90  0.09
H10 8.66 10.22 -38.79  0.07
H11 8.66 8.55 -39.30  0.07
H12 9.38 9.32 -41.62  0.12
H13 8.23 11.56 -41.64  0.09
H14 9.94 11.69 -41.96  0.09
H15 9.33 12.06 -40.33  0.09
H16 10.91 9.12 -39.67  0.06
C7 12.71 6.21 -35.68  -0.12
O3 13.53 5.26 -36.40  -0.13
H17 13.04 6.25 -34.63  0.08
H18 12.92 7.21 -36.06  0.06
H19 11.67 5.93 -35.74  0.07
H20 14.45 5.46 -36.22  0.07
C8 13.00 8.29 -42.35  -0.17
O4 12.71 9.66 -42.21  -0.13
H21 12.49 7.86 -43.22  0.07
H22 14.07 8.14 -42.49  0.08
H23 12.69 7.72 -41.46  0.06
H24 12.09 9.77 -41.46  0.03
C9 8.94 5.81 -37.55  -0.14
O5 8.84 4.83 -38.59  -0.13
H25 8.12 6.51 -37.70  0.08
H26 8.79 5.34 -36.58  0.08
H27 9.87 6.38 -37.60  0.05
H28 9.64 4.32 -38.69  0.06
O6 13.29 10.49 -37.99  -0.05
H29 13.89 9.74 -38.14  0.00
H30 13.22 10.91 -38.86  0.06
O7 11.48 8.04 -38.44  -0.06
H31 11.76 7.17 -38.79  0.02
H32 12.31 8.40 -38.07  0.02
O8 14.26 7.84 -38.31  -0.05
H33 14.79 7.55 -37.55  0.06
H34 14.24 7.08 -38.91  0.04
O9 10.25 10.78 -38.18  -0.09
H35 10.45 10.62 -39.11  -0.09
H36 10.99 10.38 -37.71  0.02
O10 12.90 5.76 -39.48  -0.05
H37 13.06 5.39 -40.36  0.08
H38 12.54 5.03 -38.95  0.07


Here is a 11-piece molecular cluster, C9H40O11 overall in a non-equilibrium geometry from the OMol25 dataset. Energies are from ωB97M-V/def2-TZVPD.

2S+1: 1
Molar mass, g mol⁻¹: 324.41
Energy above the lowest of the compared OMol25 structures with the same formula, charge and spin, kJ/mol: 1111.8
Largest force on an atom, eV/Å: 8.31

Each line ends with the Löwdin charge.
Geometry (Å):
O1 0.25 -0.69 -0.54  0.14
H1 -0.70 -0.99 -0.60  0.11
H2 0.21 -0.21 -1.45  0.12
H3 0.45 0.07 0.17  0.12
O2 0.44 1.47 1.12  -0.30
H4 0.51 2.34 1.16  -0.06
C1 -2.99 1.98 -1.38  -0.16
O3 -3.01 1.49 -2.71  -0.13
H5 -3.95 1.69 -0.88  0.09
H6 -3.02 3.10 -1.17  0.11
H7 -2.06 1.59 -0.91  0.07
H8 -3.64 2.07 -3.14  0.09
C2 2.68 -2.94 -2.13  -0.10
O4 4.15 -2.94 -2.51  -0.20
H9 2.53 -1.91 -1.99  0.04
H10 2.45 -3.44 -1.28  0.04
H11 2.03 -3.20 -2.97  0.07
H12 4.56 -2.22 -1.82  0.15
C3 3.61 2.25 -0.12  -0.20
O5 2.99 1.01 -0.01  -0.18
H13 4.60 1.92 -0.43  0.08
H14 3.41 2.95 0.73  0.10
=====
== The article goes on ==
- Human-induced vibration
Teaching Interests
Civil and structural engineering topics covering analysis, design, material properties, sustainability and dynamics.
Teaching for full time undergraduate students and Degree Apprentices.
- ES2F4 Structural Analysis (Module Leader)
- ES2F2 Construction Materials (Module Leader)
- ES2F0/ES2C2 Engineering Surveying
- ES3E1 BEng Design Project
(These calculated molecules were left in the entry by mistake)
=====
No. 1
Below is C31H39BrF6Ge2NO5S2Ti as an isolated structure at a distorted geometry, with properties calculated with ωB97M-V/def2-TZVPD.

Geometry (Å):
Ti: -0.32 -0.09 0.48
C: 4.83 6.01 -0.31
C: 5.01 4.50 -0.24
C: 5.94 4.17 0.94
C: 5.65 4.02 -1.55
C: 3.68 3.78 -0.05
C: 3.65 2.38 0.00
C: 2.44 1.76 0.14
Br: 2.31 -0.16 0.06
C: 1.22 2.43 0.25
O: 0.12 1.65 0.42
C: 1.21 3.82 0.15
C: 2.46 4.44 0.03
C: -0.04 4.72 0.12
C: 0.09 5.72 -1.04
C: -1.36 3.96 -0.09
C: -0.11 5.51 1.44
H: 5.81 6.48 -0.44
H: 4.40 6.42 0.60
H: 4.22 6.31 -1.16
H: 6.90 4.66 0.79
H: 6.12 3.10 1.03
H: 5.52 4.54 1.87
H: 6.59 4.54 -1.71
H: 5.00 4.23 -2.40
H: 5.86 2.95 -1.54
H: 4.56 1.80 -0.10
H: 2.47 5.52 -0.04
H: 0.27 5.20 -1.99
H: 0.89 6.44 -0.89
H: -0.84 6.29 -1.14
H: -1.33 3.35 -0.99
H: -2.16 4.69 -0.21
H: -1.62 3.33 0.75
H: 0.80 6.09 1.60
H: -0.23 4.84 2.30
H: -0.95 6.19 1.42
F: -5.20 -1.06 0.36
C: -4.53 -0.52 -0.63
F: -4.64 0.79 -0.62
F: -4.89 -1.02 -1.78
S: -2.73 -0.92 -0.34
O: -2.38 -0.47 1.04
O: -1.79 -0.17 -1.20
N: -2.69 -2.45 -0.54
S: -1.25 -3.12 -0.50
O: -0.30 -2.21 0.21
O: -1.27 -4.46 -0.05
C: -0.64 -3.10 -2.28
F: -1.67 -3.16 -3.09
F: 0.04 -1.97 -2.47
F: 0.15 -4.13 -2.44
C: 1.63 -3.07 2.70
Ge: 0.09 -2.28 3.60
C: 0.40 -2.07 5.53
C: -1.65 -3.06 3.18
Ge: -0.07 0.25 3.39
C: 1.54 1.26 3.52
C: 1.59 2.63 3.82
C: 2.81 3.25 3.99
C: 3.99 2.52 3.88
C: 3.95 1.16 3.59
C: 2.74 0.54 3.40
C: -1.74 1.07 3.77
C: -2.78 0.25 4.24
C: -4.01 0.80 4.56
C: -4.23 2.16 4.38
C: -3.21 2.98 3.90
C: -1.97 2.44 3.60
H: 1.43 -4.14 2.58
H: 2.52 -2.96 3.31
H: 1.81 -2.65 1.71
H: 0.43 -3.08 5.95
H: -0.39 -1.52 6.04
H: 1.36 -1.60 5.74
H: -1.51 -3.95 2.57
H: -2.29 -2.36 2.64
H: -2.15 -3.35 4.10
H: 0.68 3.19 3.96
H: 2.85 4.31 4.23
H: 4.94 3.01 4.04
H: 4.87 0.60 3.52
H: 2.71 -0.52 3.16
H: -2.63 -0.81 4.36
H: -4.80 0.17 4.94
H: -5.19 2.59 4.63
H: -3.39 4.04 3.76
H: -1.19 3.09 3.23

**LUMO (spin up / spin down)**: -7.98 / -8.18 eV
**Charge**: +2
**⟨S²⟩**: 0.757
**Spin multiplicity**: 2


No. 2
Below is an isolated molecule of C2H4INO at a distorted geometry, with properties calculated with ωB97M-V/def2-TZVPD.

Geometry (Å):
O: -0.18 -1.71 -0.09
C: 0.71 -0.98 0.10
C: 0.42 0.52 0.28
N: -0.88 0.92 -0.55
I: -2.60 0.06 0.18
H: 1.74 -1.36 0.35
H: 0.32 0.65 1.30
H: 1.02 1.27 -0.11
H: -0.56 0.62 -1.46

**LUMO**: 0.08 eV
**Relative energy (zero: lowest compared OMol25 entry of this formula, charge and spin)**: 1.569 eV
**SMILES string**: O=CCNI


No. 3
Below is an isolated ion of composition C3H2ClF2O2 and charge -1 at a distorted geometry, with properties calculated with ωB97M-V/def2-TZVPD.

Geometry (Å):
C: -0.12 0.27 -1.38
C: -0.01 -0.10 1.24
C: 0.03 -0.62 -0.19
O: 1.10 -0.19 -1.01
O: -0.78 0.18 -2.41
F: 0.74 -0.83 2.11
F: -0.12 -2.01 -0.40
Cl: -0.36 2.28 -0.71
H: -0.95 0.09 1.59
H: 0.48 0.92 1.17

**LUMO (spin up / spin down)**: 3.91 / 1.53 eV
**Charge**: -1
**⟨S²⟩**: 2.009
**Spin multiplicity**: 3


No. 4
=====
Selected Publications
- Lewis, W. J., Russell, J. M. and Li, T. Q. (2021) Moment-less arches for reduced stress state. Comparisons with conventional arch forms Computers & Structures 251
- Russell, J, Wei, X., Zivanovic, S., and Kruger, C (2020) Vibration serviceability of a GFRP railway crossing due to pedestrians and train excitation Engineering Structures. 219
- Russell, J. M., Sagaseta, J., Cormie, D., & Jones, A. E. K. (2019). Historical review of prescriptive design rules for robustness after the collapse of Ronan Point Structures. 20, 365-373
- Russell, J. M., Owen, J. S. and Hajirasouliha, I. (2019) Dynamic column loss analysis of reinforced concrete flat slabs Engineering Structures 198
- Wei, X., Wan, H.-P., Russell, J., Zivanovic, S. and He, X.(2019) Influence of Mechanical Uncertainties on Dynamic Responses of a Full-Scale All-FRP Footbridge. Composite Structures. 223.
- Wei, X., Russell, J., Zivanovic, S., and Mottram, J. T. (2019) Measured Dynamic Properties for FRP Footbridges and their Critical Comparison against Structures Made of Conventional Construction Materials. Composite Structures. 223.
- Wei, X., Zivanovic, S., Russell, J and Mottershead, J. E.(2019) Subsystem identification in structures with a human occupant based on composite frequency response functions. Mechanical Systems and Signal Processing. 120, 290-307
- Russell, J. M., Owen, J. S. and Hajirasouliha, I. (2018) Nonlinear behaviour of reinforced concrete flat slabs after a column loss event Advances in Structural Engineering 198
- Russell, J. M., Owen, J. S. and Hajirasouliha, I. (2015) Experimental investigation on the dynamic response of RC flat slabs after a sudden column loss Engineering Structures 99